STRENGTH for your DAY, a prayer book from my mum.
I will try my best to post up every prayer inside this book.

First of all, let me post up the foreword of this book.
**Inserted here: calculated molecules:**
~~~
Density functional theory data (ωB97M-V with the def2-TZVPD basis set) for a structure of composition C44H57GeN9O3Ti at a distorted geometry.

ORCA input file:
```
! wB97M-V def2-TZVPD RIJCOSX def2/J DEFGRID3
* xyz 0 1
N -1.5798 -0.1266 2.5748
H -2.7971 -5.9073 -0.6364
H 1.6642 5.8269 7.4713
C -1.0392 -0.5350 -4.4192
C 0.3591 -3.5966 -0.6295
C 0.7660 -0.3990 -0.2585
H -4.3279 2.7431 4.9172
C 0.0377 2.6672 -1.7688
C -3.3204 3.1096 5.1779
N 4.0845 -3.0056 -0.5776
H -3.6206 3.1433 7.3305
C 1.4569 1.0696 -3.1031
N 1.6914 -3.0400 -0.4777
H 0.3266 -4.6882 -0.4895
H -4.9426 -4.8943 -1.6979
C 2.1536 3.1224 4.2357
H 2.7165 4.4956 1.1929
C -1.1808 3.9462 4.3399
H 0.2577 4.9916 9.4002
C -4.5294 -4.0425 -1.1359
N 3.0653 -4.9261 -1.0330
C 4.5471 -5.2254 -1.1108
H -2.8218 3.1806 3.0920
H 2.6455 1.5721 -4.7720
H -5.0983 -0.3432 -1.2489
H 0.0315 6.8283 3.6202
H -2.0573 4.2459 8.8892
N 0.2816 -0.4951 -4.2622
H -1.0744 -0.2719 3.4289
C -2.9581 3.3801 6.4758
H 5.8379 -3.5330 -1.6279
H 3.4604 -1.0637 -0.0368
H 5.7993 -3.9233 0.1111
H -1.0526 6.6216 2.2352
C 4.4910 3.1293 3.7799
Ti -0.7326 -0.1094 -1.4654
H 3.5353 0.9678 -3.3930
H -0.6117 4.1548 -0.4069
H -4.7624 -1.6471 -6.9252
N -1.4367 -2.2079 -1.6763
H -0.1510 -3.1796 0.2361
H 1.4941 -6.0985 -1.8939
C -4.9865 -2.7061 -1.6495
H 1.0015 4.4341 -1.0332
H 5.0493 4.1251 1.9210
H 5.4663 2.9227 4.1129
C 0.4428 -0.4131 1.2586
C 2.9154 4.0227 2.1606
C -3.6885 -1.5180 -6.9657
C -2.4251 3.3414 4.1291
H 1.0539 0.3175 1.8027
H 0.3474 -2.5619 -2.5633
H 1.4794 -5.8958 -0.0629
H -5.7854 -2.2875 -1.0056
O -1.8574 -0.2153 -3.4519
C -0.3593 -3.1195 -1.9584
H -2.5094 0.2452 2.7111
C -0.0687 6.3606 2.6514
C 5.1968 -3.9226 -0.8067
C 4.2202 3.7453 2.5538
H 4.8190 -6.0139 -0.3597
C -1.5862 -1.9937 -8.0017
N 0.5415 0.0835 -3.0750
H 3.5614 2.1174 5.4543
C -1.0223 -0.1388 1.3548
H 0.1336 -1.4853 -6.7326
H 1.7962 0.0168 -0.4517
H 1.5883 -2.0129 -0.3738
C 0.7371 5.2822 7.3051
C 0.3737 5.0356 6.0143
H -5.2913 -2.7273 -2.6904
N -3.0804 -3.9451 -1.2215
C -2.9515 -2.0688 -8.0332
C -0.7866 4.2905 5.6790
C -1.3199 4.3736 8.0927
H 4.7638 -5.6511 -2.1128
H 2.5409 -0.1515 -4.4101
C 1.8697 3.7829 3.0517
H -1.2827 -4.9463 -0.8059
H 0.7074 6.7297 1.9457
C 2.6325 0.8376 -3.9815
C -4.0418 -0.4892 -1.5775
C -0.9205 -1.4352 -6.8232
H 1.8365 3.1700 -2.6975
H 5.0007 -1.5625 0.7034
C 3.4445 2.7463 4.5920
C 4.4047 -1.6420 -0.2219
H -0.9531 -2.3006 -8.8355
H -0.3701 4.7919 -2.0971
H 4.9499 -1.1497 -1.0354
C 1.1806 2.3124 -2.5099
C -1.6348 -0.9522 -5.7216
H 0.5682 -1.4268 1.7561
O -1.7531 0.0420 0.3325
H 2.6609 -6.9135 -0.8127
H -3.9958 -0.0102 -2.5512
O -0.9780 1.8665 -1.5447
C 2.1251 -6.0046 -0.9715
C -1.7162 4.0134 6.7596
H 1.3865 3.0100 4.9957
H -4.8087 -4.1705 -0.0714
C 2.8541 -3.6239 -0.7373
C -0.0112 4.1198 -1.3129
H 1.1128 5.3750 5.2257
C -2.2881 -5.1461 -1.2207
H -2.2118 -5.5273 -2.2595
C -0.0599 4.8543 8.3883
C -2.6834 -2.6615 -1.5047
H -0.6420 -3.9824 -2.5781
N -3.8001 -1.9035 -1.5493
C -3.0509 -1.0007 -5.8496
H -3.6613 -0.4671 -5.0922
~~~
**The calculated molecules stop here:**
There are three stages in prayer. The first is basically "God bless me, Mommy, and Daddy," with a shopping list to a God who is there to deliver our wishes. The second is once we have come alive to the Lord Jesus as our Saviour. The Holy Spirit brings us into a personal relationship and prayer normally moves into worship, conversation, sharing and desiring God's will, although remnants of the first srot of praying can sadly linger and confuse. The thrid is when we begin to hunger and thrist for God, to become like St. Paul when he longs to know Christ, the power of His resurrection, and the fellowship of His sufferings. Here paryer starts to explore the deep wonders of God in devotion and worship as well as in far more comprehensive intercession. This is where this marvelous book takes us.
When Louise Kendall talked about her exploration into the prayers of Christians across the centuries, her passion, excitement, and deepened devotion to God glowed from her heart. She had been ready to explore the prayers of saints who had different Christian affiliations and found the throb of her own heart matching theirs. Although extempore prayer is still integral to her prayer life, she discovered that in written prayers there could be gathered expressions of deep devotion, phrases with profound insight, and a range of confession, worship and intercession that left much extempore praying in the fading shadows.
That Louise and RT have now turned that great discovery into this book is a gift to the whole church. Not all the prayers will ring bells with us, but most will strike an inner chord and will come to be part of our own prayer life in years to come. We move over the centuries with prayers from Augustine, Corrie ten Boom, Newman, Campolo, Luther, Chaike, Lancelot Andrewes (who blew my prayer life into new orbits), and so many others. Our hearts are warmed by Timothy Dudley-Smith’s beautifully poetic yet insightful prayers, with glorious phrases like “the choir of stars.” I am so glad that the prayer (February 17) of the Confederate soldier just before he died in the battle of Richmond is here, as I use it frequently. Whenever I quote it everyone wants a copy… it is penetratingly moving. You will want t mark the prayers that stand out for you as you use the book across a year and then return to embrace them as part of your own devotion. It will help us all to move deeper into true prayer to our glorious Lord. For all the passion, research and hard work that has goneinto this gem of a book we are all in the debt of two very special people....
Louise and R. T. Kendall.
-Rt. Rev. Dr. Michael S. Baughen
Calculated molecules, kept here for reference:
+++
ORCA calculation (wB97M-V/def2-TZVPD) on C16H14F5NaS as an isolated structure.

Orbital gap, eV: 6.89
HOMO energy, eV: -7.13

Structure (XYZ):
```
37
Properties=species:S:1:pos:R:3:forces:R:3
Na 0.743692 0.391223 -0.348341 -0.090 0.555 0.061
C 0.394086 -3.448776 -3.299266 -0.140 0.168 -0.040
C 0.155436 -2.024471 -2.787860 0.122 -0.156 -0.183
C 1.099432 -1.045648 -3.477770 -0.195 0.002 0.089
C 0.285070 -2.010240 -1.284597 -0.181 -0.065 -0.160
C -0.860755 -2.119004 -0.505612 -0.098 -0.074 -0.040
C -0.792436 -2.173674 0.872117 0.061 -0.076 0.025
C 0.431759 -2.116671 1.527497 -0.010 -0.018 -0.011
C 0.502865 -2.153698 3.017783 -0.019 0.140 0.110
C 1.580674 -2.006132 0.753150 0.108 -0.204 0.132
C 1.514836 -1.969438 -0.631611 0.155 -0.282 -0.223
H 0.304764 -3.487057 -4.382032 -0.033 -0.037 -0.139
H -0.335032 -4.127701 -2.865828 -0.033 -0.151 0.023
H 1.390384 -3.795304 -3.030203 0.094 -0.015 0.059
H -0.872980 -1.736061 -3.040282 0.111 -0.059 0.087
H 2.133701 -1.361406 -3.361891 0.147 0.097 0.028
H 0.974851 -0.033595 -3.073983 0.118 -0.030 -0.156
H 0.884600 -1.013725 -4.544152 0.021 0.083 -0.053
H -1.821511 -2.202789 -0.996151 -0.080 0.107 -0.026
H -1.699900 -2.276843 1.445147 -0.124 0.054 0.118
H 0.292671 -1.155437 3.404911 0.014 0.028 0.099
H 1.489334 -2.459756 3.356570 0.055 -0.006 0.064
H -0.238592 -2.834311 3.429962 -0.036 -0.047 0.031
H 2.545333 -1.994165 1.243792 0.055 0.042 0.009
H 2.434540 -1.961292 -1.203958 0.038 0.087 -0.030
F -1.602756 6.980765 1.583101 0.028 -0.250 -0.019
C -1.332778 5.666293 1.612333 0.028 -0.250 0.064
C -1.877664 4.850655 2.604205 0.039 0.198 -0.119
F -2.700364 5.380385 3.518391 0.105 0.035 -0.079
C -1.583019 3.501895 2.643605 0.261 -0.130 -0.376
F -2.135354 2.752937 3.607579 0.043 0.227 -0.102
C -0.744454 2.888374 1.692542 -0.193 1.085 -0.053
S -0.425896 1.218339 1.748943 0.078 -1.067 0.264
C -0.222893 3.740099 0.708849 -0.139 -0.429 0.211
F 0.576176 3.206228 -0.265404 -0.246 0.265 0.256
C -0.504722 5.090535 0.656217 0.007 0.143 -0.066
F 0.016898 5.839469 -0.327752 -0.073 0.030 0.146
```
Forces are in eV/Å.

~~~~~

A | Density functional theory data (ωB97M-V/def2-TZVPD) for 2 unconnected molecules or ions with the total composition C5H14.

Output
Orbital gap in eV: 12.3
SMILES string: CCC.CC
LUMO energy in eV: 1.14
Highest occupied orbital energy in eV: -11.1
Molar mass in g/mol: 74.2

Structure (XYZ):
```
19
Properties=species:S:1:pos:R:3:lowdin_charge:R:1
C 1.687 -0.903 -2.735 -0.125
C 0.532 -1.103 -1.716 -0.311
C 0.867 -0.416 -0.397 -0.132
H 2.326 -1.769 -2.921 0.066
H 1.164 -0.626 -3.629 0.049
H 2.339 -0.048 -2.484 0.068
H -0.459 -0.953 -2.181 0.100
H 0.548 -2.205 -1.518 0.101
H 1.237 0.590 -0.588 0.073
H -0.019 -0.344 0.209 0.031
H 1.534 -1.097 0.139 0.083
C -1.718 0.769 3.012 -0.129
C -1.299 1.550 1.692 -0.158
H -2.767 0.830 3.233 0.049
H -1.643 -0.285 2.853 0.037
H -0.974 1.069 3.756 0.065
H -1.155 2.602 1.911 0.048
H -1.986 1.584 0.844 0.059
H -0.342 1.230 1.248 0.025
```

***
+++
Bishop of Chester, 1982-1996
Rector of All Souls, Langham Place,
London, 1970-1982 –
This prayers book has 365 days of prayers. Every single day comes with different prayers.
Since today is 7th of October 2008, I will start with the prayers for October 7.
Besides, I will also post up the February 17 prayer, the prayer which Rt. Rev. Dr. Michael frequently used.
Till then, stay tune with my 365 timeless prayers and conversations with GOD!